_Assignment_
Write out only the lines further below with the word "fractional" in them, please.

_File_
'''
DFT (PBE-GGA) results for crystalline Tb3Pr2Ho6Sc at its relaxed geometry.

As for the space group: C2/m.

a b c (Å): 6.1315 6.1315 11.7546
angles (deg): 94.97 94.97 119.99
Atoms (fractional coordinates):
Tb: 0.0000 0.0000 0.0000
Tb: 0.3336 0.6664 0.0000
Tb: 0.6664 0.3336 0.0000
Pr: 0.1662 0.8338 0.5000
Pr: 0.8338 0.1662 0.5000
Ho: 0.0867 0.4167 0.2494
Ho: 0.2532 0.2532 0.7512
Ho: 0.4167 0.0867 0.2494
Ho: 0.5833 0.9133 0.7506
Ho: 0.7468 0.7468 0.2488
Ho: 0.9133 0.5833 0.7506
Sc: 0.5000 0.5000 0.5000

***

DFT (PBE-GGA) results for crystalline Be2CuRh at its relaxed geometry.

As for the space group: P4mm.

a b c (Å): 2.8346 2.8346 5.2813
angles (deg): 90.00 90.00 90.00
Atoms (fractional coordinates):
Be: 0.0000 0.0000 0.0000
Be: 0.5000 0.5000 0.2315
Cu: 0.0000 0.0000 0.4553
Rh: 0.5000 0.5000 0.7842

***

DFT (PBE-GGA) results for crystalline Sc2Ga9Rh at its relaxed geometry.

As for the space group: P4/mmm.

a b c (Å): 4.1105 4.1105 11.9236
angles (deg): 90.00 90.00 90.00
Atoms (fractional coordinates):
Sc: 0.0000 0.0000 0.1756
Sc: 0.0000 0.0000 0.8244
Ga: 0.0000 0.5000 0.0000
Ga: 0.0000 0.5000 0.3487
Ga: 0.0000 0.5000 0.6513
Ga: 0.5000 0.0000 0.0000
Ga: 0.5000 0.0000 0.3487
Ga: 0.5000 0.0000 0.6513
Ga: 0.5000 0.5000 0.1707
Ga: 0.5000 0.5000 0.5000
Ga: 0.5000 0.5000 0.8293
Rh: 0.0000 0.0000 0.5000

***

Energy of formation from the pure elements values (in eV per formula unit) by entry order: 0.3, -0.9, -4.7.
Mass density values (in g/cm3) by entry order: 7.90, 7.22, 6.76.

* * * * *

DFT (PBE-GGA) results for BaNb2BiRu after structural relaxation.

Output
DFT formation energy ... 72 kJ per mole of atoms
DOS at the Fermi energy ... 5.3 states/eV per cell

abc: 4.9054 4.9054 5.9188
angles: 90.00 90.00 90.00
With the nearest neighbours (Å) after each atom.
Space group P4/mmm (No. 123)
Inequivalent atoms, fractional coordinates:
1 Ba 0.0000 0.0000 0.0000 (multiplicity 1)  2 Ru 2.96
2 Nb 0.0000 0.5000 0.5000 (multiplicity 2)  2 Ru 2.45
3 Bi 0.5000 0.5000 0.0000 (multiplicity 1)  4 Ba 3.47, 8 Nb 3.84
4 Ru 0.0000 0.0000 0.5000 (multiplicity 1)  4 Nb 2.45

=====

DFT (PBE-GGA) results for Na2SrI after structural relaxation.

Output
Energy above the most stable polymorph in this dataset ... 322 meV/atom
DOS at the Fermi energy ... 19.1 states/eV per cell

abc: 8.7867 8.7867 8.7867
angles: 90.00 90.00 90.00
With the nearest neighbours (Å) after each atom.
Space group Fm-3m (No. 225)
Inequivalent atoms, fractional coordinates:
1 Na 0.2500 0.2500 0.2500 (multiplicity 8)  4 I 3.80, 4 Sr 3.80
2 Sr 0.0000 0.0000 0.0000 (multiplicity 4)  8 Na 3.80
3 I 0.0000 0.0000 0.5000 (multiplicity 4)  8 Na 3.80

=====

DFT (PBE-GGA) results for TlInRh4 after structural relaxation.

Output
DFT formation energy ... 15 kJ per mole of atoms
DOS at the Fermi energy ... 31.2 states/eV per cell

abc: 7.4651 7.4651 7.4651
angles: 90.00 90.00 90.00
With the nearest neighbours (Å) after each atom.
Space group F-43m (No. 216)
Inequivalent atoms, fractional coordinates:
1 Tl 0.0000 0.0000 0.0000 (multiplicity 4)  12 Rh 3.09, 4 In 3.23
2 In 0.2500 0.2500 0.7500 (multiplicity 4)  12 Rh 3.09, 4 Tl 3.23
3 Rh 0.1250 0.1250 0.3750 (multiplicity 16)  6 Rh 2.64

=====

DFT (PBE-GGA) results for NpPaIn after structural relaxation.

Output
Energy above the most stable polymorph in this dataset ... 0 meV/atom
DFT formation energy ... 18 kJ per mole of atoms
DOS at the Fermi energy ... 13.6 states/eV per cell

abc: 3.0306 3.0306 15.3814
angles: 90.00 90.00 90.00
With the nearest neighbours (Å) after each atom.
Space group I4mm (No. 107)
Inequivalent atoms, fractional coordinates:
1 Np 0.0000 0.0000 0.0000 (multiplicity 2)  4 Np 3.03, 4 Pa 3.27, 4 In 3.36
2 Pa 0.0000 0.0000 0.6605 (multiplicity 2)  4 Pa 3.03, 4 Np 3.27
3 In 0.0000 0.0000 0.3317 (multiplicity 2)  4 In 3.03, 4 Np 3.36

=====

DFT (PBE-GGA) results for K3Ac2LaS6 after structural relaxation.

Output
Final energy ... -128.02 eV for the cell shown
DOS at the Fermi energy ... 0.0 states/eV per cell
'''

_Here it is_
Atoms (fractional coordinates):
Atoms (fractional coordinates):
Atoms (fractional coordinates):
Inequivalent atoms, fractional coordinates:
Inequivalent atoms, fractional coordinates:
Inequivalent atoms, fractional coordinates:
Inequivalent atoms, fractional coordinates: